**Excerpt:**
____________
(1)
The following is a quantum chemistry calculation of a cluster of 2 separate species, C4H13NO3 in total at a distorted geometry, from the OMol25 dataset.

Results
SMILES = N[C@H](CO)CCO.O
Electronic energy = -11990.290 eV
Gap between HOMO and LUMO = 0.358 Eh
Relative energy (zero: lowest compared OMol25 entry of this formula, charge and spin) = 50.3 kcal per mole

Last column: natural (NBO) charge in e.
Geometry (Å):
1 C 0.504 -1.327 1.562  -0.062
2 O 1.815 -0.957 1.981  -0.719
3 C -0.373 -0.166 1.057  -0.093
4 C 0.412 1.134 0.796  -0.440
5 C 0.800 1.302 -0.695  -0.066
6 O 1.091 -0.013 -1.158  -0.743
7 N -1.580 -0.034 1.884  -0.807
8 H 0.532 -2.142 0.830  0.170
9 H 0.109 -1.829 2.452  0.179
10 H 2.262 -0.527 1.242  0.464
11 H -0.733 -0.467 0.080  0.197
12 H 1.293 1.268 1.401  0.211
13 H -0.177 1.974 1.176  0.209
14 H 1.701 1.917 -0.733  0.167
15 H -0.043 1.753 -1.213  0.169
16 H 1.494 0.014 -2.028  0.477
17 H -1.327 -0.183 2.854  0.344
18 H -1.819 0.956 1.946  0.344
19 H -1.538 -0.619 -4.120  0.470
20 H -2.346 -0.001 -5.294  0.471
21 O -2.288 -0.079 -4.340  -0.941

(2)
The following is a quantum chemistry calculation of a cluster of 3 separate species, C4H13NO3 in total at a distorted geometry, from the OMol25 dataset.

Results
SMILES = CNCCC=O.O.O
Electronic energy = -11989.398 eV
Gap between HOMO and LUMO = 0.345 Eh
Relative energy (zero: lowest compared OMol25 entry of this formula, charge and spin) = 70.9 kcal per mole

Last column: natural (NBO) charge in e.
Geometry (Å):
1 C -0.864 -2.193 0.769  -0.410
2 N -0.970 -0.872 0.148  -0.619
3 C -1.599 -0.034 1.099  -0.226
4 C -0.862 0.762 2.251  -0.542
5 C 0.484 1.326 1.738  0.461
6 O 0.991 1.148 0.664  -0.549
7 H -0.218 -2.758 0.051  0.191
8 H -1.805 -2.680 0.921  0.193
9 H -0.357 -2.067 1.788  0.154
10 H 0.006 -0.617 -0.117  0.377
11 H -2.357 -0.699 1.584  0.190
12 H -2.144 0.690 0.493  0.198
13 H -1.433 1.504 2.829  0.248
14 H -0.679 -0.151 3.048  0.230
15 H 1.026 1.959 2.523  0.102
16 H 0.975 0.708 -3.132  0.503
17 H 1.023 1.679 -1.824  0.473
18 O 0.618 1.468 -2.604  -0.988
19 H 1.010 -1.507 -2.486  0.468
20 H 2.323 -1.187 -2.297  0.466
21 O 1.700 -1.108 -3.005  -0.921

(3)
The following is a quantum chemistry calculation of a structure of composition C4H13NO3 at a distorted geometry, from the OMol25 dataset.

Results
Electronic energy = -11988.491 eV
Gap between HOMO and LUMO = 0.298 Eh
Relative energy (zero: lowest compared OMol25 entry of this formula, charge and spin) = 91.8 kcal per mole

Last column: natural (NBO) charge in e.
Geometry (Å):
1 C 1.885 0.745 0.855  0.635
2 C 0.786 -1.343 1.028  -0.475
3 O 2.039 0.826 -0.369  -0.708
4 O 1.056 1.619 1.527  -0.707
5 O 1.437 -1.942 -0.093  -0.767
6 H 0.741 2.252 0.861  0.473
7 H 0.024 0.856 -0.970  0.415
8 H 1.931 -1.233 -0.537  0.471
9 H 2.644 0.339 1.529  0.151
10 H 1.376 -1.449 1.944  0.162
11 H -0.117 -1.942 1.218  0.168
12 C -1.145 -0.723 -1.562  -0.421
13 C -1.824 1.105 -0.066  -0.410
14 N -0.717 0.276 -0.563  -0.606
15 H -0.054 -0.367 0.359  0.373
16 H -1.578 -0.240 -2.441  0.189
17 H -1.889 -1.375 -1.104  0.203
18 H -0.283 -1.335 -1.815  0.243
19 H -2.340 1.617 -0.883  0.193
20 H -1.436 1.850 0.625  0.208
21 H -2.535 0.464 0.456  0.209

(4)
The following is a quantum chemistry calculation of a cluster of 3 separate species, C4H13NO3 in total at a distorted geometry, from the OMol25 dataset.

Results
Total charge = +1
Electronic energy = -11980.789 eV
Gap between HOMO and LUMO (alpha / beta) = 0.284 / 0.148 Eh
<S²> = 0.757
Relative energy (zero: lowest compared OMol25 entry of this formula, charge and spin) = 65.4 kcal per mole
Spin multiplicity = 2

Last column: Löwdin spin population.
Geometry (Å):
1 C -1.644 -0.156 -1.701  0.006
2 C -0.691 0.143 -0.555  0.011
3 C -1.519 0.678 0.664  0.090
4 C -1.270 -0.098 1.931  0.126
5 O -2.112 -0.696 2.537  0.680
6 N 0.374 1.106 -0.868  0.012
7 H -1.953 0.729 -2.274  0.000
8 H -2.522 -0.656 -1.328  0.000
9 H -1.342 -0.760 -2.558  0.002
10 H -0.189 -0.746 -0.188  0.002
____________
**Work order:**
What is needed: print everything above without altering anything.
**Reply:**
(1)
The following is a quantum chemistry calculation of a cluster of 2 separate species, C4H13NO3 in total at a distorted geometry, from the OMol25 dataset.

Results
SMILES = N[C@H](CO)CCO.O
Electronic energy = -11990.290 eV
Gap between HOMO and LUMO = 0.358 Eh
Relative energy (zero: lowest compared OMol25 entry of this formula, charge and spin) = 50.3 kcal per mole

Last column: natural (NBO) charge in e.
Geometry (Å):
1 C 0.504 -1.327 1.562  -0.062
2 O 1.815 -0.957 1.981  -0.719
3 C -0.373 -0.166 1.057  -0.093
4 C 0.412 1.134 0.796  -0.440
5 C 0.800 1.302 -0.695  -0.066
6 O 1.091 -0.013 -1.158  -0.743
7 N -1.580 -0.034 1.884  -0.807
8 H 0.532 -2.142 0.830  0.170
9 H 0.109 -1.829 2.452  0.179
10 H 2.262 -0.527 1.242  0.464
11 H -0.733 -0.467 0.080  0.197
12 H 1.293 1.268 1.401  0.211
13 H -0.177 1.974 1.176  0.209
14 H 1.701 1.917 -0.733  0.167
15 H -0.043 1.753 -1.213  0.169
16 H 1.494 0.014 -2.028  0.477
17 H -1.327 -0.183 2.854  0.344
18 H -1.819 0.956 1.946  0.344
19 H -1.538 -0.619 -4.120  0.470
20 H -2.346 -0.001 -5.294  0.471
21 O -2.288 -0.079 -4.340  -0.941

(2)
The following is a quantum chemistry calculation of a cluster of 3 separate species, C4H13NO3 in total at a distorted geometry, from the OMol25 dataset.

Results
SMILES = CNCCC=O.O.O
Electronic energy = -11989.398 eV
Gap between HOMO and LUMO = 0.345 Eh
Relative energy (zero: lowest compared OMol25 entry of this formula, charge and spin) = 70.9 kcal per mole

Last column: natural (NBO) charge in e.
Geometry (Å):
1 C -0.864 -2.193 0.769  -0.410
2 N -0.970 -0.872 0.148  -0.619
3 C -1.599 -0.034 1.099  -0.226
4 C -0.862 0.762 2.251  -0.542
5 C 0.484 1.326 1.738  0.461
6 O 0.991 1.148 0.664  -0.549
7 H -0.218 -2.758 0.051  0.191
8 H -1.805 -2.680 0.921  0.193
9 H -0.357 -2.067 1.788  0.154
10 H 0.006 -0.617 -0.117  0.377
11 H -2.357 -0.699 1.584  0.190
12 H -2.144 0.690 0.493  0.198
13 H -1.433 1.504 2.829  0.248
14 H -0.679 -0.151 3.048  0.230
15 H 1.026 1.959 2.523  0.102
16 H 0.975 0.708 -3.132  0.503
17 H 1.023 1.679 -1.824  0.473
18 O 0.618 1.468 -2.604  -0.988
19 H 1.010 -1.507 -2.486  0.468
20 H 2.323 -1.187 -2.297  0.466
21 O 1.700 -1.108 -3.005  -0.921

(3)
The following is a quantum chemistry calculation of a structure of composition C4H13NO3 at a distorted geometry, from the OMol25 dataset.

Results
Electronic energy = -11988.491 eV
Gap between HOMO and LUMO = 0.298 Eh
Relative energy (zero: lowest compared OMol25 entry of this formula, charge and spin) = 91.8 kcal per mole

Last column: natural (NBO) charge in e.
Geometry (Å):
1 C 1.885 0.745 0.855  0.635
2 C 0.786 -1.343 1.028  -0.475
3 O 2.039 0.826 -0.369  -0.708
4 O 1.056 1.619 1.527  -0.707
5 O 1.437 -1.942 -0.093  -0.767
6 H 0.741 2.252 0.861  0.473
7 H 0.024 0.856 -0.970  0.415
8 H 1.931 -1.233 -0.537  0.471
9 H 2.644 0.339 1.529  0.151
10 H 1.376 -1.449 1.944  0.162
11 H -0.117 -1.942 1.218  0.168
12 C -1.145 -0.723 -1.562  -0.421
13 C -1.824 1.105 -0.066  -0.410
14 N -0.717 0.276 -0.563  -0.606
15 H -0.054 -0.367 0.359  0.373
16 H -1.578 -0.240 -2.441  0.189
17 H -1.889 -1.375 -1.104  0.203
18 H -0.283 -1.335 -1.815  0.243
19 H -2.340 1.617 -0.883  0.193
20 H -1.436 1.850 0.625  0.208
21 H -2.535 0.464 0.456  0.209

(4)
The following is a quantum chemistry calculation of a cluster of 3 separate species, C4H13NO3 in total at a distorted geometry, from the OMol25 dataset.

Results
Total charge = +1
Electronic energy = -11980.789 eV
Gap between HOMO and LUMO (alpha / beta) = 0.284 / 0.148 Eh
<S²> = 0.757
Relative energy (zero: lowest compared OMol25 entry of this formula, charge and spin) = 65.4 kcal per mole
Spin multiplicity = 2

Last column: Löwdin spin population.
Geometry (Å):
1 C -1.644 -0.156 -1.701  0.006
2 C -0.691 0.143 -0.555  0.011
3 C -1.519 0.678 0.664  0.090
4 C -1.270 -0.098 1.931  0.126
5 O -2.112 -0.696 2.537  0.680
6 N 0.374 1.106 -0.868  0.012
7 H -1.953 0.729 -2.274  0.000
8 H -2.522 -0.656 -1.328  0.000
9 H -1.342 -0.760 -2.558  0.002
10 H -0.189 -0.746 -0.188  0.002